While there’s still plenty more story to tell on AMC’s The Walking Dead, that hasn’t stopped fans from theorizing what will happen in the end.
The long-running apocalyptic series is about a virus that has reanimated dead people, and they now roam the earth seeking out human flesh. Get caught and they will literally tear you open, eating you from the inside out.
Theories about the ending have ranged from sensible ones, like a cure is found, to ridiculous ones, like that the zombies never existed and the survivors are merely thrill-killing maniacs, or that Rick has been a walking zombie-man this whole time.
Here are 5 fan theories about how it will all end that make total sense, and 5 that are not likely to happen.
It Was All a Dream: Makes Sense

This is one of the most popular theories. That in the end, Rick wakes up from his coma and discovers that everything that has happened was all a dream. He finds Lori and Carl by his side, Shane popping in to check on him as well.
While this would make sense, it’s also a theory that fans probably wouldn’t like. They’d feel cheated. So we don’t expect this one to be true. Show creator Robert Kirkman has also definitively stated that it is not a dream and everything you see his happening. So that’s that.
An Alien Invasion: Doesn’t Make Sense

This theory suggests that the group discovers it was aliens that caused the outbreak and they are now looking to take over Earth. If this was a sci-fi series, maybe I could buy into that. But it isn’t. So it doesn’t make sense to delve into alien territory.
There is that mysterious group with the helicopters that are up to something, but we suspect they are living in a remote area, gathering people who can help them develop a cure or figure out what’s happening. But aliens? Highly unlikely.
Everyone Gets Bitten: Makes Sense

In true apocalyptic fashion, the series could end with the zombie outbreak still in full swing, no cure in sight. At some point, everyone will die and everyone will turn. So why not end with some type of event that takes all of the remaining characters out at the same time?
They can all rise up reanimated one by one, and begin walking into the sunset as the undead, in search of human flesh to feast on. This would leave us with no resolution, but do we really need things to be tied up with a nice little bow, a cure found and everyone living happily ever after?
It Was a Television Show: Doesn’t Make Sense

Can you imagine if TheWalking Dead ended like it was a The Truman Show scenario and all of the people were acting this whole time? It was just some apocalyptic TV series with incredibly detailed storylines, graphics, and convincing characters?
This theory makes no sense at all. Fans would no doubt be outraged if such a theory came true. Given that, it’s unlikely that there’s any truth to this one. And we can rest assured that everything that’s happening really is happening.
They Find a Cure: Makes Sense

The ultimate resolution would ensure that the group’s long fights were not in vain. They have all fought for their lives in hopes that their lives will mean something one day. Couples have had children, worked hard to provide for them, teach them about the world, and lived seemingly normal lives behind protective walls. It has to be for something.
So in the end, maybe they finally discover the cure and slowly restore the world to its previous state. That would be a fitting “the end” to the long story.
There Will Be a Civil War: Doesn’t Make Sense

Some believe that all of this is leading up to a civil war among the various groups of survivors who remain. But such an ending would defeat the purpose of the series. Is it to show that even with dead walking among us, the living still fight amongst themselves and can’t find a way to work together?
Plus, so many seasons have focused on our group of survivors fighting different mortal enemies. At some point, we need to see the fight shift back to the dead. So an ending that looks at all the humans fighting one another seems cheap.
The Last Walker Is Killed: Makes Sense

Maybe the series will simply end when the last walker is killed. The group knows that everyone is infected, which means anyone who dies from this point on needs to get a swift knife to the brain to prevent them from reanimating. But is it possible the group could finally kill the last walker on earth and begin rebuilding society?
It seems impossible that the entire population could be wiped out in just a decade, but the show has done a few time jumps already. So maybe the disease is never cured but can now be managed in a new world with only a few straggling walkers left.
Settling on a Remote Island: Doesn’t Make Sense

Logically, this ending makes sense. The group somehow finds a way to travel to a remote island that is completely unpopulated. There, they are free from walkers and can work on rebuilding the world while walkers elsewhere are slowly but surely taken out by new military forces.
It’s totally possible but it wouldn’t be the exciting ending that viewers likely expect. Having the group fight to the death to simply pick up and leave would be wasteful. They can’t let the zombies take over America!
Kids Continue the World: Makes Sense

# Crystal structures, as found in the file
ErNiB4 r2SCAN relaxed; raw total energy = -316.36 eV for the cell shown; formation energy from the elements = -633 meV/atom
1.0
6.628 0.265 -1.333
-0.302 -4.455 5.083
-3.706 -1.838 -5.354
B Ni Er
16 4 4
direct
0.276 0.112 0.388
0.580 0.580 0.466
0.724 0.888 0.612
0.114 0.114 0.534
0.420 0.886 0.000
0.114 0.580 0.000
0.886 0.420 0.000
0.580 0.114 0.000
0.420 0.420 0.534
0.888 0.724 0.612
0.886 0.886 0.466
0.276 0.888 0.165
0.112 0.276 0.388
0.888 0.276 0.165
0.724 0.112 0.835
0.112 0.724 0.835
0.272 0.500 0.772
0.500 0.728 0.228
0.500 0.272 0.772
0.728 0.500 0.228
0.250 0.750 0.500
0.204 0.204 0.000
0.796 0.796 0.000
0.750 0.250 0.500

---

K2Re3Se6 r2SCAN relaxed; raw total energy = -1055.46 eV for the cell shown; formation energy from the elements = -793 meV/atom
1.0
5.083 8.661 -0.005
-5.083 8.661 -0.005
0.000 0.330 12.409
Se Re K
24 12 8
direct
0.265 0.439 0.804
0.439 0.265 0.304
0.747 0.928 0.170
0.200 0.286 0.069
0.800 0.714 0.931
0.735 0.561 0.196
0.067 0.996 0.081
0.004 0.933 0.419
0.072 0.253 0.330
0.253 0.072 0.830
0.389 0.939 0.222
0.282 0.553 0.519
0.061 0.611 0.278
0.933 0.004 0.919
0.996 0.067 0.581
0.561 0.735 0.696
0.939 0.389 0.722
0.928 0.747 0.670
0.718 0.447 0.481
0.447 0.718 0.981
0.286 0.200 0.569
0.714 0.800 0.431
0.553 0.282 0.019
0.611 0.061 0.778
0.470 0.113 0.126
0.530 0.887 0.874
0.887 0.530 0.374
0.685 0.997 0.974
0.997 0.685 0.474
0.113 0.470 0.626
0.818 0.601 0.581
0.182 0.399 0.419
0.601 0.818 0.081
0.003 0.315 0.526
0.315 0.003 0.026
0.399 0.182 0.919
0.123 0.648 0.017
0.352 0.877 0.483
0.783 0.217 0.250
0.603 0.397 0.750
0.217 0.783 0.750
0.397 0.603 0.250
0.877 0.352 0.983
0.648 0.123 0.517

---

raw total energy of number 1 (ErNiB4)?
-316.36 eV for the cell shown

---

Number 2 is which compound?
K2Re3Se6

---

What is the formula in the second record?
K2Re3Se6

=====

The following is a PBE calculation of a relaxed structure of Rb2GdGaSi4O12, from Materials Project.

Magnetization (μB per atom): 0.350
Raw total energy (eV per atom): -7.73
SG: No. 15

```
Rb2GdGaSi4O12
1.0
-0.798 -4.248 -13.469
3.123 -9.497 -10.008
-9.937 -10.405 -4.521
Rb Gd Ga Si O
8 4 4 16 48
Cartesian
1.285 -9.879 -16.383 Rb
-8.896 -14.272 -11.614 Rb
-3.903 -9.103 -9.331 Rb
-3.709 -15.047 -18.667 Rb
-7.456 -17.556 -14.408 Rb
-3.262 -14.290 -14.207 Rb
-0.156 -6.595 -13.590 Rb
-4.349 -9.861 -13.791 Rb
-7.680 -10.359 -10.455 Gd
0.068 -13.792 -17.543 Gd
-6.604 -16.713 -21.308 Gd
-1.007 -7.437 -6.690 Gd
-6.996 -12.424 -14.069 Ga
-0.468 -9.309 -10.431 Ga
-0.615 -11.726 -13.929 Ga
-7.143 -14.841 -17.567 Ga
-2.482 -11.302 -16.564 Si
-5.129 -12.849 -11.434 Si
-4.601 -7.267 -6.250 Si
-5.490 -12.316 -16.745 Si
-9.210 -14.199 -15.385 Si
-6.047 -19.669 -23.350 Si
-2.122 -11.834 -11.253 Si
-3.010 -16.883 -21.748 Si
-6.344 -17.986 -17.848 Si
-1.564 -4.481 -4.648 Si
-1.268 -6.164 -10.150 Si
-0.894 -14.715 -20.925 Si
1.739 -11.388 -19.681 Si
1.599 -9.951 -12.613 Si
-6.718 -9.436 -7.072 Si
-9.351 -12.763 -8.317 Si
1.620 -12.313 -18.360 O

A flash forward-type ending could show all of the fierce fighters we have come to love now long gone or old and frail while the kids, including Judith, R.J., Hershel, Coco, and others, are the ones who are working to re-build society.
Maybe the zombie outbreak has been contained, or maybe it hasn’t and this is just the new world we live in. Nonetheless, we can foresee a look ahead at a grown Judith with her own family (maybe a son named Carl?), an elderly Michonne rocking her grandchild while uncle Daryl comes by to visit and they stare at the grave of uncle Ezekiel.
Walkers Evolve: Doesn’t Make Sense

-- Materials data from another source follow --
+++
No. 1
! Ca3Mn2Sb2O12 (PBE+U, relaxed); values from VASP
&SYSTEM
  ibrav = 0, nat = 19, ntyp = 4
/
ATOMIC_SPECIES
Ca 40.08 Ca.upf
O 16.00 O.upf
Mn 54.94 Mn.upf
Sb 121.76 Sb.upf
CELL_PARAMETERS angstrom
7.772 0.000 0.000
0.000 5.407 0.000
0.000 0.028 5.435
ATOMIC_POSITIONS crystal
Ca 0.500 0.959 0.009
O 0.500 0.010 0.582
O 0.708 0.708 0.292
O 0.208 0.791 0.788
O 0.292 0.708 0.292
Ca 0.000 0.558 0.512
O 0.781 0.305 0.686
Mn 0.757 0.000 0.502
Sb 0.243 0.492 0.999
O 0.694 0.211 0.216
O 0.000 0.470 0.096
Sb 0.757 0.492 0.999
Mn 0.243 0.000 0.502
O 0.792 0.791 0.788
Ca 0.500 0.448 0.491
O 0.219 0.305 0.686
O 0.000 0.986 0.419
O 0.306 0.211 0.216
O 0.500 0.518 0.919
! Symmetry ... Pm (6)

---

No. 2
! Ca3Mn2SbO9 (PBE+U, relaxed); values from VASP
&SYSTEM
  ibrav = 0, nat = 60, ntyp = 4
/
ATOMIC_SPECIES
O 16.00 O.upf
Ca 40.08 Ca.upf
Mn 54.94 Mn.upf
Sb 121.76 Sb.upf
CELL_PARAMETERS angstrom
-2.917 4.673 0.885
-4.846 -3.839 4.562
9.185 3.865 13.103
ATOMIC_POSITIONS crystal
O 0.967 0.749 0.858
O 0.299 0.949 0.101
Ca 0.048 0.735 0.335
Mn 0.000 0.000 0.500
O 0.290 0.540 0.431
O 0.293 0.956 0.763
O 0.219 0.051 0.275
O 0.203 0.460 0.595
O 0.782 0.536 0.735
O 0.214 0.450 0.935
Ca 0.447 0.256 0.832
O 0.786 0.550 0.065
Mn 0.503 0.499 0.335
Ca 0.446 0.254 0.178
O 0.970 0.753 0.528
O 0.781 0.949 0.725
Ca 0.038 0.749 0.998
Sb 0.494 0.998 0.662
O 0.786 0.949 0.062
Sb 0.500 0.000 0.000
O 0.970 0.749 0.197
O 0.797 0.540 0.405
O 0.520 0.252 0.690
Ca 0.554 0.746 0.822
Mn 0.997 0.002 0.831
Ca 0.962 0.251 0.002
O 0.192 0.046 0.599
Mn 0.497 0.501 0.665
O 0.214 0.051 0.938
Ca 0.962 0.266 0.333
O 0.709 0.448 0.902
O 0.710 0.460 0.569
O 0.535 0.251 0.037
O 0.030 0.251 0.803
O 0.033 0.251 0.142
Ca 0.952 0.265 0.665
Sb 0.506 0.002 0.338
Ca 0.553 0.744 0.168
O 0.461 0.745 0.633
O 0.696 0.046 0.560
O 0.465 0.749 0.963
O 0.290 0.543 0.763
Ca 0.038 0.734 0.667
Mn 0.000 0.500 0.830
O 0.539 0.255 0.367
O 0.291 0.552 0.098
O 0.480 0.748 0.310
O 0.710 0.457 0.237
O 0.701 0.051 0.899
O 0.808 0.954 0.401
O 0.030 0.247 0.472
Sb 0.500 0.500 0.000
Mn 0.003 0.998 0.169
Ca 0.446 0.268 0.505
O 0.304 0.954 0.440
Mn 0.000 0.500 0.500
O 0.218 0.464 0.265
Mn 0.000 0.500 0.170
O 0.707 0.044 0.237
Ca 0.554 0.732 0.495
! Symmetry ... P-1 (2)

---

No. 3
Computed, not measured: a geometry-optimized Ca2MnSbO6 structure at the PBE+U level of DFT. Values from VASP.

Structure (Quantum ESPRESSO input):
```
&SYSTEM
  ibrav = 0, nat = 40, ntyp = 4
/
ATOMIC_SPECIES
O 16.00 O.upf
Mn 54.94 Mn.upf
Ca 40.08 Ca.upf
Sb 121.76 Sb.upf
CELL_PARAMETERS angstrom
5.559 -0.192 -0.022
-0.231 5.747 7.704
0.167 -5.677 7.655
ATOMIC_POSITIONS crystal
O 0.905 0.643 0.110
Mn 0.000 0.250 0.750
O 0.905 0.143 0.610
O 0.299 0.325 0.628
Ca 0.516 0.401 0.848
O 0.701 0.675 0.371
O 0.405 0.109 0.145
O 0.299 0.825 0.129
O 0.305 0.629 0.923
O 0.595 0.391 0.355
Mn 0.500 0.750 0.750
Ca 0.484 0.599 0.152
O 0.305 0.128 0.423
O 0.817 0.114 0.336
Ca 0.998 0.652 0.599
O 0.782 0.431 0.616
O 0.817 0.614 0.836
Sb 0.500 0.000 0.000
+++
-- The page goes on --

While this theory really is interesting, we can’t imagine the walkers ever being anything more than dumb walking corpses with a strong sense of smell for human flesh. They can’t think, strategize, or understand human chatter. They hear a sound or see movement and must follow it.
In this theory, the walkers eventually evolve to be able to use their brains again, as though some part of cognition reignites so they can talk, negotiate with people, assemble armies – you name it. It doesn’t seem plausible, but it could happen. It would effectively be what the Whisperers have been simulating all along.